Entries:
+++
No. 1
Below is a structure of composition C46H54BrCsI2N5O6PS2Si, with properties calculated with the ωB97M-V functional and the def2-TZVPD basis.

```
119
C46H54BrCsI2N5O6PS2Si the ωB97M-V functional and the def2-TZVPD basis
Cs -0.761 -0.540 -0.507
O -0.992 3.287 -1.717
C -2.334 3.759 -1.744
C -3.052 3.499 -0.429
N -3.363 2.096 -0.192
C -4.599 1.710 -0.852
C -4.485 1.288 -2.330
O -5.507 1.429 -3.020
O -3.392 0.749 -2.682
C -3.397 1.789 1.234
C -3.567 0.293 1.593
O -3.865 0.019 2.758
O -3.386 -0.529 0.637
H -1.060 2.325 -1.679
H -2.879 3.313 -2.580
H -2.270 4.839 -1.900
H -3.975 4.111 -0.421
H -2.415 3.866 0.381
H -5.368 2.493 -0.762
H -4.983 0.818 -0.358
H -4.205 2.328 1.760
H -2.455 2.132 1.673
I 2.505 0.969 -2.047
C 2.986 2.894 -2.730
C 3.269 2.990 -4.066
C 3.851 4.146 -4.621
C 4.198 5.174 -3.801
C 3.901 5.124 -2.415
C 4.309 6.206 -1.600
C 4.023 6.215 -0.270
C 3.246 5.173 0.268
C 2.806 4.104 -0.472
P 1.511 3.019 0.351
C 0.493 4.325 1.145
C -0.119 4.104 2.378
C -1.074 4.987 2.867
C -1.437 6.103 2.130
C -0.845 6.325 0.892
C 0.102 5.442 0.402
C 2.518 2.343 1.748
C 2.871 3.052 2.895
C 3.621 2.457 3.899
C 4.045 1.141 3.767
C 3.695 0.423 2.632
C 2.926 1.013 1.638
C 3.209 4.010 -1.853
H 3.076 2.137 -4.702
H 4.059 4.188 -5.683
H 4.704 6.052 -4.187
H 4.855 7.022 -2.060
H 4.341 7.033 0.364
H 2.941 5.257 1.302
H 0.132 3.223 2.956
H -1.547 4.785 3.821
H -2.191 6.784 2.505
H -1.141 7.180 0.295
H 0.530 5.608 -0.579
H 2.529 4.070 3.034
H 3.873 3.024 4.788
H 4.638 0.678 4.548
H 4.000 -0.611 2.515
H 2.630 0.406 0.788
Br -4.929 -6.249 1.006
C -3.088 -6.298 0.535
C -2.541 -7.541 0.241
C -1.209 -7.636 -0.129
C -0.436 -6.486 -0.213
C -0.998 -5.256 0.085
C -2.332 -5.135 0.480
I -3.043 -3.182 0.848
H -3.164 -8.423 0.295
H -0.785 -8.603 -0.367
H 0.600 -6.538 -0.526
H -0.399 -4.358 -0.017
C -5.280 -1.928 -1.940
C -4.154 -2.630 -2.622
C -4.055 -3.997 -2.694
C -2.887 -4.525 -3.265
N -1.949 -3.781 -3.805
C -2.103 -2.426 -3.832
S -1.036 -1.424 -4.633
N -3.192 -1.878 -3.181
C -2.635 -6.006 -3.242
H -5.778 -2.611 -1.254
H -5.992 -1.550 -2.675
H -4.897 -1.082 -1.377
H -4.801 -4.627 -2.232
H -3.264 -0.819 -3.108
H -3.536 -6.563 -2.982
H -1.867 -6.228 -2.499
H -2.260 -6.331 -4.212
C 0.529 -3.247 3.037
N 0.806 -1.860 2.678
C 0.391 -0.844 3.469
S -0.262 0.594 2.944
N 0.514 -1.083 4.811
C 1.645 -1.807 5.371
H 0.180 -3.775 2.152
H -0.265 -3.276 3.783
H 1.410 -3.767 3.417
H 0.871 -1.650 1.693
H 0.177 -0.300 5.347
H 1.356 -2.780 5.776
H 2.092 -1.215 6.170
H 2.405 -1.962 4.604
C 2.712 -3.712 -2.153
Si 3.039 -2.564 -0.689
C 3.050 -3.689 0.845
C 4.852 -2.008 -0.775
O 2.012 -1.347 -0.624
H 3.528 -4.422 -2.323
H 2.566 -3.129 -3.066
H 1.792 -4.284 -1.995
H 3.942 -4.325 0.836
H 2.176 -4.344 0.904
H 3.082 -3.080 1.755
H 5.521 -2.844 -1.000
H 5.162 -1.577 0.183
H 4.996 -1.240 -1.540
```

## Properties
net charge = -2
lowest unoccupied orbital energy = 3.32 eV
Kohn-Sham gap = 6.4 eV
energy above the lowest of the compared OMol25 structures with the same formula, charge and spin = 25.0 kcal per mole
+++

Work order:
Return the entries further up from the first line to the one with "2.176 -4.344" word for word.

Done:
No. 1
Below is a structure of composition C46H54BrCsI2N5O6PS2Si, with properties calculated with the ωB97M-V functional and the def2-TZVPD basis.

```
119
C46H54BrCsI2N5O6PS2Si the ωB97M-V functional and the def2-TZVPD basis
Cs -0.761 -0.540 -0.507
O -0.992 3.287 -1.717
C -2.334 3.759 -1.744
C -3.052 3.499 -0.429
N -3.363 2.096 -0.192
C -4.599 1.710 -0.852
C -4.485 1.288 -2.330
O -5.507 1.429 -3.020
O -3.392 0.749 -2.682
C -3.397 1.789 1.234
C -3.567 0.293 1.593
O -3.865 0.019 2.758
O -3.386 -0.529 0.637
H -1.060 2.325 -1.679
H -2.879 3.313 -2.580
H -2.270 4.839 -1.900
H -3.975 4.111 -0.421
H -2.415 3.866 0.381
H -5.368 2.493 -0.762
H -4.983 0.818 -0.358
H -4.205 2.328 1.760
H -2.455 2.132 1.673
I 2.505 0.969 -2.047
C 2.986 2.894 -2.730
C 3.269 2.990 -4.066
C 3.851 4.146 -4.621
C 4.198 5.174 -3.801
C 3.901 5.124 -2.415
C 4.309 6.206 -1.600
C 4.023 6.215 -0.270
C 3.246 5.173 0.268
C 2.806 4.104 -0.472
P 1.511 3.019 0.351
C 0.493 4.325 1.145
C -0.119 4.104 2.378
C -1.074 4.987 2.867
C -1.437 6.103 2.130
C -0.845 6.325 0.892
C 0.102 5.442 0.402
C 2.518 2.343 1.748
C 2.871 3.052 2.895
C 3.621 2.457 3.899
C 4.045 1.141 3.767
C 3.695 0.423 2.632
C 2.926 1.013 1.638
C 3.209 4.010 -1.853
H 3.076 2.137 -4.702
H 4.059 4.188 -5.683
H 4.704 6.052 -4.187
H 4.855 7.022 -2.060
H 4.341 7.033 0.364
H 2.941 5.257 1.302
H 0.132 3.223 2.956
H -1.547 4.785 3.821
H -2.191 6.784 2.505
H -1.141 7.180 0.295
H 0.530 5.608 -0.579
H 2.529 4.070 3.034
H 3.873 3.024 4.788
H 4.638 0.678 4.548
H 4.000 -0.611 2.515
H 2.630 0.406 0.788
Br -4.929 -6.249 1.006
C -3.088 -6.298 0.535
C -2.541 -7.541 0.241
C -1.209 -7.636 -0.129
C -0.436 -6.486 -0.213
C -0.998 -5.256 0.085
C -2.332 -5.135 0.480
I -3.043 -3.182 0.848
H -3.164 -8.423 0.295
H -0.785 -8.603 -0.367
H 0.600 -6.538 -0.526
H -0.399 -4.358 -0.017
C -5.280 -1.928 -1.940
C -4.154 -2.630 -2.622
C -4.055 -3.997 -2.694
C -2.887 -4.525 -3.265
N -1.949 -3.781 -3.805
C -2.103 -2.426 -3.832
S -1.036 -1.424 -4.633
N -3.192 -1.878 -3.181
C -2.635 -6.006 -3.242
H -5.778 -2.611 -1.254
H -5.992 -1.550 -2.675
H -4.897 -1.082 -1.377
H -4.801 -4.627 -2.232
H -3.264 -0.819 -3.108
H -3.536 -6.563 -2.982
H -1.867 -6.228 -2.499
H -2.260 -6.331 -4.212
C 0.529 -3.247 3.037
N 0.806 -1.860 2.678
C 0.391 -0.844 3.469
S -0.262 0.594 2.944
N 0.514 -1.083 4.811
C 1.645 -1.807 5.371
H 0.180 -3.775 2.152
H -0.265 -3.276 3.783
H 1.410 -3.767 3.417
H 0.871 -1.650 1.693
H 0.177 -0.300 5.347
H 1.356 -2.780 5.776
H 2.092 -1.215 6.170
H 2.405 -1.962 4.604
C 2.712 -3.712 -2.153
Si 3.039 -2.564 -0.689
C 3.050 -3.689 0.845
C 4.852 -2.008 -0.775
O 2.012 -1.347 -0.624
H 3.528 -4.422 -2.323
H 2.566 -3.129 -3.066
H 1.792 -4.284 -1.995
H 3.942 -4.325 0.836
H 2.176 -4.344 0.904